• Exercise:
Restate everything further below unchanged.

• Source:
********
Run i
LaHoTmAl, optimized geometry, DFT GGA-PBE; calculated volume = 28.45 Å³ per atom; N(E_F) = 3.78 states/eV/cell; SG = P4mm (99)
1.0
3.5279 0.0000 0.0000
0.0000 3.5279 0.0000
0.0000 0.0000 9.1424
La Ho Tm Al
1 1 1 1
Direct
0.0000 0.0000 0.0000 La
0.5000 0.5000 0.7018 Ho
0.5000 0.5000 0.2929 Tm
0.0000 0.0000 0.4954 Al


Run ii
LaHoTmAl, optimized geometry, DFT GGA-PBE; calculated volume = 27.99 Å³ per atom; N(E_F) = 27.14 states/eV/cell; SG = F-43m (216)
1.0
7.6510 0.0000 0.0000
0.0000 7.6510 0.0000
0.0000 0.0000 7.6510
La Ho Tm Al
4 4 4 4
Direct
0.0000 0.0000 0.0000 La
0.0000 0.5000 0.5000 La
0.5000 0.0000 0.5000 La
0.5000 0.5000 0.0000 La
0.0000 0.0000 0.5000 Ho
0.0000 0.5000 0.0000 Ho
0.5000 0.0000 0.0000 Ho
0.5000 0.5000 0.5000 Ho
0.2500 0.2500 0.7500 Tm
0.2500 0.7500 0.2500 Tm
0.7500 0.2500 0.2500 Tm
0.7500 0.7500 0.7500 Tm
0.2500 0.2500 0.2500 Al
0.2500 0.7500 0.7500 Al
0.7500 0.2500 0.7500 Al
0.7500 0.7500 0.2500 Al


How do the energies compare? Relative to the most stable structure, in kJ/mol of atoms: run i 0.0; run ii 11.2.


Run i
LiHo3Al2, optimized geometry, DFT GGA-PBE; calculated volume = 23.73 Å³ per atom; N(E_F) = 2.86 states/eV/cell; SG = P4/mmm (123)
1.0
3.5623 0.0000 0.0000
0.0000 3.5623 0.0000
0.0000 0.0000 11.2186
Li Ho Al
1 3 2
Direct
0.0000 0.0000 0.0000 Li
0.5000 0.5000 0.1799 Ho
0.5000 0.5000 0.5000 Ho
0.5000 0.5000 0.8201 Ho
0.0000 0.0000 0.3354 Al
0.0000 0.0000 0.6646 Al


Run ii
LiHo3Al2, optimized geometry, DFT GGA-PBE; calculated volume = 23.52 Å³ per atom; N(E_F) = 8.66 states/eV/cell; SG = P-3m1 (164)
1.0
5.1002 0.0000 0.0000
-2.5501 4.4169 0.0000
0.0000 0.0000 12.5297
Li Ho Al
2 6 4
Direct
0.3333 0.6667 0.1703 Li
0.6667 0.3333 0.8297 Li
0.0000 0.0000 0.2534 Ho
0.0000 0.0000 0.7466 Ho
0.3333 0.6667 0.4177 Ho
0.3333 0.6667 0.9157 Ho
0.6667 0.3333 0.0843 Ho
0.6667 0.3333 0.5823 Ho
0.0000 0.0000 0.0000 Al
0.0000 0.0000 0.5000 Al
0.3333 0.6667 0.6720 Al
0.6667 0.3333 0.3280 Al


How do the energies compare? Relative to the most stable structure, in kJ/mol of atoms: run i 2.6; run ii 0.0.


Run i
LiHo2Al, optimized geometry, DFT GGA-PBE; calculated volume = 23.85 Å³ per atom; N(E_F) = 3.59 states/eV/cell; SG = P4/mmm (123)
1.0
5.0814 0.0000 0.0000
0.0000 5.0814 0.0000
0.0000 0.0000 3.6951
Li Ho Al
1 2 1
Direct
0.0000 0.0000 0.0000 Li
0.0000 0.5000 0.5000 Ho
0.5000 0.0000 0.5000 Ho
0.5000 0.5000 0.0000 Al


Run ii
LiHo2Al, optimized geometry, DFT GGA-PBE; calculated volume = 23.85 Å³ per atom; N(E_F) = 14.58 states/eV/cell; SG = Fm-3m (225)
1.0
7.2529 0.0000 0.0000
0.0000 7.2529 0.0000
0.0000 0.0000 7.2529
Li Ho Al
4 8 4
Direct
0.0000 0.0000 0.0000 Li
0.0000 0.5000 0.5000 Li
0.5000 0.0000 0.5000 Li
0.5000 0.5000 0.0000 Li
0.2500 0.2500 0.2500 Ho
0.2500 0.2500 0.7500 Ho
0.2500 0.7500 0.2500 Ho
0.2500 0.7500 0.7500 Ho
0.7500 0.2500 0.2500 Ho
0.7500 0.2500 0.7500 Ho
0.7500 0.7500 0.2500 Ho
0.7500 0.7500 0.7500 Ho
0.0000 0.0000 0.5000 Al
0.0000 0.5000 0.0000 Al
0.5000 0.0000 0.0000 Al
0.5000 0.5000 0.5000 Al


How do the energies compare? Relative to the most stable structure, in kJ/mol of atoms: run i 2.3; run ii 0.0.


Run i
LiHo4Al2, optimized geometry, DFT GGA-PBE; calculated volume = 25.91 Å³ per atom; N(E_F) = 12.98 states/eV/cell; SG = P2_1/m (11)
1.0
7.0559 0.0000 0.0000
0.0000 6.2986 0.0000
-3.4064 0.0000 8.1631
Li Ho Al
2 8 4
Direct
0.0535 0.2500 0.3464 Li
0.9465 0.7500 0.6536 Li
0.1754 0.2500 0.7086 Ho
0.3544 0.5096 0.2777 Ho
0.3544 0.9904 0.2777 Ho
0.3816 0.7500 0.9307 Ho
0.6184 0.2500 0.0693 Ho
0.6456 0.0096 0.7223 Ho
0.6456 0.4904 0.7223 Ho
0.8246 0.7500 0.2914 Ho
0.0317 0.2500 0.0004 Al
0.2570 0.7500 0.5544 Al
0.7430 0.2500 0.4456 Al
0.9683 0.7500 0.9996 Al


Run ii
LiHo4Al2, optimized geometry, DFT GGA-PBE; calculated volume = 26.21 Å³ per atom; N(E_F) = 9.16 states/eV/cell; SG = R-3m (166)
1.0
2.5487 1.4715 8.1525
-2.5487 1.4715 8.1525
0.0000 -2.9429 8.1525
Li Ho Al
1 4 2
Direct
0.0000 0.0000 0.0000 Li
0.1297 0.1297 0.1297 Ho
0.3825 0.3825 0.3825 Ho
0.6175 0.6175 0.6175 Ho
********

• Written answer:
Run i
LaHoTmAl, optimized geometry, DFT GGA-PBE; calculated volume = 28.45 Å³ per atom; N(E_F) = 3.78 states/eV/cell; SG = P4mm (99)
1.0
3.5279 0.0000 0.0000
0.0000 3.5279 0.0000
0.0000 0.0000 9.1424
La Ho Tm Al
1 1 1 1
Direct
0.0000 0.0000 0.0000 La
0.5000 0.5000 0.7018 Ho
0.5000 0.5000 0.2929 Tm
0.0000 0.0000 0.4954 Al


Run ii
LaHoTmAl, optimized geometry, DFT GGA-PBE; calculated volume = 27.99 Å³ per atom; N(E_F) = 27.14 states/eV/cell; SG = F-43m (216)
1.0
7.6510 0.0000 0.0000
0.0000 7.6510 0.0000
0.0000 0.0000 7.6510
La Ho Tm Al
4 4 4 4
Direct
0.0000 0.0000 0.0000 La
0.0000 0.5000 0.5000 La
0.5000 0.0000 0.5000 La
0.5000 0.5000 0.0000 La
0.0000 0.0000 0.5000 Ho
0.0000 0.5000 0.0000 Ho
0.5000 0.0000 0.0000 Ho
0.5000 0.5000 0.5000 Ho
0.2500 0.2500 0.7500 Tm
0.2500 0.7500 0.2500 Tm
0.7500 0.2500 0.2500 Tm
0.7500 0.7500 0.7500 Tm
0.2500 0.2500 0.2500 Al
0.2500 0.7500 0.7500 Al
0.7500 0.2500 0.7500 Al
0.7500 0.7500 0.2500 Al


How do the energies compare? Relative to the most stable structure, in kJ/mol of atoms: run i 0.0; run ii 11.2.


Run i
LiHo3Al2, optimized geometry, DFT GGA-PBE; calculated volume = 23.73 Å³ per atom; N(E_F) = 2.86 states/eV/cell; SG = P4/mmm (123)
1.0
3.5623 0.0000 0.0000
0.0000 3.5623 0.0000
0.0000 0.0000 11.2186
Li Ho Al
1 3 2
Direct
0.0000 0.0000 0.0000 Li
0.5000 0.5000 0.1799 Ho
0.5000 0.5000 0.5000 Ho
0.5000 0.5000 0.8201 Ho
0.0000 0.0000 0.3354 Al
0.0000 0.0000 0.6646 Al


Run ii
LiHo3Al2, optimized geometry, DFT GGA-PBE; calculated volume = 23.52 Å³ per atom; N(E_F) = 8.66 states/eV/cell; SG = P-3m1 (164)
1.0
5.1002 0.0000 0.0000
-2.5501 4.4169 0.0000
0.0000 0.0000 12.5297
Li Ho Al
2 6 4
Direct
0.3333 0.6667 0.1703 Li
0.6667 0.3333 0.8297 Li
0.0000 0.0000 0.2534 Ho
0.0000 0.0000 0.7466 Ho
0.3333 0.6667 0.4177 Ho
0.3333 0.6667 0.9157 Ho
0.6667 0.3333 0.0843 Ho
0.6667 0.3333 0.5823 Ho
0.0000 0.0000 0.0000 Al
0.0000 0.0000 0.5000 Al
0.3333 0.6667 0.6720 Al
0.6667 0.3333 0.3280 Al


How do the energies compare? Relative to the most stable structure, in kJ/mol of atoms: run i 2.6; run ii 0.0.


Run i
LiHo2Al, optimized geometry, DFT GGA-PBE; calculated volume = 23.85 Å³ per atom; N(E_F) = 3.59 states/eV/cell; SG = P4/mmm (123)
1.0
5.0814 0.0000 0.0000
0.0000 5.0814 0.0000
0.0000 0.0000 3.6951
Li Ho Al
1 2 1
Direct
0.0000 0.0000 0.0000 Li
0.0000 0.5000 0.5000 Ho
0.5000 0.0000 0.5000 Ho
0.5000 0.5000 0.0000 Al


Run ii
LiHo2Al, optimized geometry, DFT GGA-PBE; calculated volume = 23.85 Å³ per atom; N(E_F) = 14.58 states/eV/cell; SG = Fm-3m (225)
1.0
7.2529 0.0000 0.0000
0.0000 7.2529 0.0000
0.0000 0.0000 7.2529
Li Ho Al
4 8 4
Direct
0.0000 0.0000 0.0000 Li
0.0000 0.5000 0.5000 Li
0.5000 0.0000 0.5000 Li
0.5000 0.5000 0.0000 Li
0.2500 0.2500 0.2500 Ho
0.2500 0.2500 0.7500 Ho
0.2500 0.7500 0.2500 Ho
0.2500 0.7500 0.7500 Ho
0.7500 0.2500 0.2500 Ho
0.7500 0.2500 0.7500 Ho
0.7500 0.7500 0.2500 Ho
0.7500 0.7500 0.7500 Ho
0.0000 0.0000 0.5000 Al
0.0000 0.5000 0.0000 Al
0.5000 0.0000 0.0000 Al
0.5000 0.5000 0.5000 Al


How do the energies compare? Relative to the most stable structure, in kJ/mol of atoms: run i 2.3; run ii 0.0.


Run i
LiHo4Al2, optimized geometry, DFT GGA-PBE; calculated volume = 25.91 Å³ per atom; N(E_F) = 12.98 states/eV/cell; SG = P2_1/m (11)
1.0
7.0559 0.0000 0.0000
0.0000 6.2986 0.0000
-3.4064 0.0000 8.1631
Li Ho Al
2 8 4
Direct
0.0535 0.2500 0.3464 Li
0.9465 0.7500 0.6536 Li
0.1754 0.2500 0.7086 Ho
0.3544 0.5096 0.2777 Ho
0.3544 0.9904 0.2777 Ho
0.3816 0.7500 0.9307 Ho
0.6184 0.2500 0.0693 Ho
0.6456 0.0096 0.7223 Ho
0.6456 0.4904 0.7223 Ho
0.8246 0.7500 0.2914 Ho
0.0317 0.2500 0.0004 Al
0.2570 0.7500 0.5544 Al
0.7430 0.2500 0.4456 Al
0.9683 0.7500 0.9996 Al


Run ii
LiHo4Al2, optimized geometry, DFT GGA-PBE; calculated volume = 26.21 Å³ per atom; N(E_F) = 9.16 states/eV/cell; SG = R-3m (166)
1.0
2.5487 1.4715 8.1525
-2.5487 1.4715 8.1525
0.0000 -2.9429 8.1525
Li Ho Al
1 4 2
Direct
0.0000 0.0000 0.0000 Li
0.1297 0.1297 0.1297 Ho
0.3825 0.3825 0.3825 Ho
0.6175 0.6175 0.6175 Ho